(continuing the theme of planetary culture driving imperial ...)
/*
[1]
Below is a single C19H30N2O2 molecule, with properties calculated with ωB97M-V/def2-TZVPD.

Its structure (SMILES) is CC(C)C[C@@H](CO)N1CCN(CCc2ccccc2)CCC1=O. The HOMO energy comes out at -8.46 eV. For the maximum force, the calculation gives 0.59 eV/A.

```
! wB97M-V def2-TZVPD RIJCOSX def2/J DEFGRID3
* xyz 0 1
C 2.499 4.798 -1.664
C 3.344 4.159 -0.563
C 4.010 5.247 0.279
C 2.506 3.259 0.351
C 1.877 2.042 -0.337
C 2.953 1.097 -0.930
O 2.494 -0.222 -1.086
N 0.998 1.347 0.603
C -0.428 1.397 0.370
C -0.991 0.059 -0.127
N -1.330 -0.798 0.991
C -2.305 -1.820 0.680
C -1.855 -2.909 -0.319
C -2.981 -3.869 -0.556
C -3.137 -4.991 0.248
C -4.202 -5.853 0.058
C -5.130 -5.602 -0.938
C -4.986 -4.485 -1.743
C -3.920 -3.625 -1.551
C -0.167 -1.287 1.702
C 0.548 -0.167 2.470
C 1.524 0.607 1.602
O 2.727 0.524 1.797
H 1.663 5.345 -1.231
H 2.109 4.050 -2.348
H 3.102 5.497 -2.240
H 4.129 3.557 -1.030
H 4.637 5.881 -0.343
H 3.257 5.871 0.755
H 4.630 4.805 1.054
H 3.134 2.891 1.164
H 1.702 3.854 0.792
H 1.235 2.370 -1.158
H 3.848 1.119 -0.301
H 3.212 1.450 -1.931
H 2.570 -0.651 -0.226
H -0.619 2.169 -0.376
H -0.955 1.679 1.287
H -1.907 0.251 -0.689
H -0.251 -0.397 -0.807
H -2.594 -2.300 1.619
H -3.191 -1.319 0.279
H -1.561 -2.436 -1.257
H -0.992 -3.438 0.090
H -2.414 -5.193 1.026
H -4.308 -6.724 0.689
H -5.961 -6.276 -1.088
H -5.705 -4.285 -2.523
H -3.810 -2.756 -2.185
H -0.514 -2.028 2.425
H 0.558 -1.780 1.030
H -0.194 0.496 2.915
H 1.142 -0.610 3.270
*
```

---

[2]
Below is 2 unconnected molecules or ions with the total composition CH7N2O in a non-equilibrium geometry, with properties calculated with ωB97M-V/def2-TZVPD.

The HOMO energy comes out at -15.38 eV. For the maximum force, the calculation gives 4.83 eV/A.

```
! wB97M-V def2-TZVPD RIJCOSX def2/J DEFGRID3
* xyz 1 1
N -0.992 0.379 -0.887
C -0.555 0.750 0.316
N 0.789 0.909 0.516
H -0.447 -0.158 -1.574
H -1.940 0.251 -1.025
H -1.277 1.024 1.151
H 1.088 1.062 1.525
H 1.354 0.782 -0.365
H 1.253 -1.785 0.548
H 0.101 -1.972 -0.326
O 0.627 -1.242 0.121
*
```

---

[3]
Below is a single C25H30N2O7 molecule, with properties calculated with ωB97M-V/def2-TZVPD.

Its structure (SMILES) is CCOc1cc(C(=O)OCC(=O)Nc2c(C)cccc2C)ccc1OCC(=O)N1CCOCC1. The HOMO energy comes out at -8.79 eV. For the maximum force, the calculation gives 0.70 eV/A.

```
! wB97M-V def2-TZVPD RIJCOSX def2/J DEFGRID3
* xyz 0 1
C 0.032 0.268 -2.973
C 0.660 1.639 -3.195
O 1.702 1.924 -2.276
C 1.424 2.174 -0.972
C 0.151 2.416 -0.478
C -0.058 2.742 0.861
C -1.417 2.914 1.409
O -1.672 3.097 2.572
O -2.368 2.799 0.451
C -3.719 2.713 0.875
C -4.247 1.267 0.831
O -5.304 0.975 1.338
N -3.419 0.429 0.173
C -3.526 -0.978 0.066
C -4.661 -1.574 -0.487
C -5.799 -0.752 -1.002
C -4.699 -2.960 -0.569
C -3.637 -3.732 -0.141
*/
rethe is one of the more unusual worlds in the imperium in that, despite its vast population, family ties continue to predominate. in the opinion of most this has not served them well, but the rethans ignore this and continue their ancient ways. from the original two thousand families that came six hundred years ago to mine the mineral deposits, the size 2 world population has swelled to twelve billion. through the water crisis, through the vermin plagues, through the civil war infighting, through the shutdown of the mines, and through the permanent economic crisis and vast overcrowding, the rethans continue to remain in and return to their family homes on rethe.
rethan society is stratified, literally. rethan habitats are "pits", large shafts sunk into solid rock at the planet's surface that may be up to a thousand feet wide open in the center and that can reach down several thousand feet. the pits are capped with a steel framework inset with thick glass panels to retain air pressure at sustainable levels in the pit. the shaft is lined with living spaces, almost always family apartments, set into the solid rock and facing out towards the wide walkways circling the open shaft. successful upper class famlies live in the upper tiers, middle in the middle, while city life support infrastructure, the lowest class of families, and lone individuals, are at the very bottom. cities consist of huge collections of these habitation pits, along with pits devoted to space port, agricultural, commercial, manufacturing, academic, civic, and communal activities, all linked together by tens of thousands of foot, slope-rail carriage, and (in "high-class" tiers) grav-driven carriage tunnels at most levels, in addition to endless elevators and stairs between tiers. most of the upper level tier stairs and transport passages are documented and can be isolated at each end with iris valves, but many of those in the lower tiers are not. in addition the entire planet is perforated by quite literally millions of mine pits, shafts, passages, communication tunnels, played out ore veins, and other diggings, many of them connected to the cities and transportation tubes between cities. in addition new pits and new transportation tunnels are always being dug, and some few mines remain in operation, continually adding to the planet's porosity and sometimes causing deep mine flooding when the world's underground seas are encountered accidentally.
artificial gravity is maintained in all family dwellings to encourage normal human physical development, but the walkways, passages, and pit centers are unmodified and have nothing but the planet's own gravity. lighting is common and bright in the upper tiers, becoming a bit dimmer and more intermittent towards the lower tiers. power is provided mostly by vast solar panel farms on the surface and supplemented as necessary by cold fusion power plants leased from outside companies.
marriages are often arranged according to family traditions - oddly, men and women maintain separate traditions. while women on rethe are considered free and equal citizens they almost always marry young and almost never work outside of their homes. men who are not at work usually are with their families almost non-stop. "going out" usually means going out with the family to communal activities, and despite their troglodyte existence rethan cities are filled with civic and communal activities. the children seem slightly more independent of their families than the adults and large groups of them hurtle through the tunnels and walkways playing their games and going places.
one rethan norm that many outsiders find disturbing is their practice of lining the walls of their habitations with small statues, plaques, and urns with the ashes of their ancestors. ask a rethan about any of these displays and he can tell you all about that ancestor in sometimes unnerving detail. another rethan norm that many outsiders find entrancing is their practice of singing in their pit wells. they will line the walkways of their pits, any number from a few to literally tens of thousands at a time, singing ancient harmonies that everyone knows by heart and sometimes trying out new ones. rethans tend to maintain these two practices whereever they go.
rethe must import most of what it needs. with their mineral veins played out and lacking the technology to build starships on their own, rethe has no natural resources other than it's own people, their physical and technical labor, so this is what they sell and export. millions of rethans serve in extra-planetary corporations, the merchant marine, and the imperial forces, remitting their pay back home. despite their family ties rethe routinely sends pioneer colonists to worlds that request them, as many as and often more than are requested. if a mercenary company can supply the transportation then rethans can sign up for mercenary work by the tens of thousands. and when the imperium needs to raise an army, literally ten million rethans can sign up in one day. except for the colonists most rethans return home, bringing their expertise and skills with them.
in addition to their people themselves, rethe sells manufacturing labor. vast trains of ships bring raw materials to rethe and turn around with manufactured good for sale elsewhere. treece and enope are unable to compete with rethe in manufacturing and are bypassed on the trade routes, and despite their huge technological advantage even feri and zivije are hard-pressed to keep their costs below that of rethe industrial labor and transportation. in fact feri does some of it's space-going vessel production on rethe. bartering between rethe and inthe in foodstuffs for manufactured goods is one of the most regular and profitable trade runs in the regina subsector.
rethe has several atypical resources. for one, it has plenty of space on its surface for large-scale hazardous testing accompanied by large-scale personnel support and non-wilderness living for the testers. many corporations, and sometimes the imperium, conduct long-term testing of hazardous products at rethe. for another, rethe is able to engage in hazardous materials manufacturing without having to worry excessively about industrial pollution or biosphere contamination. such workspace is surprisingly rare, and rethe can charge handsomely for these priviledges. it does.
one less-mentioned and less-remarked-upon rethan export is teams. the close living and close family ties of rethe often produce groups, sometimes very large groups, of men and sometimes of women, whose families have known each other for generations and who know each other very deeply from childhood, and who thus make excellent teams of whatever training and purpose. some of these teams achieve great fame, but most are covert, and some are outright secret.
rethe is one of the more unusual worlds in the imperium in that, despite its vast population, family ties continue to predominate. in the opinion of most this has not served them well, but the rethans ignore this and continue their ancient ways. from the original two thousand families that came six hundred years ago to mine the mineral deposits, the size 2 world population has swelled to twelve billion. through the water crisis, through the vermin plagues, through the civil war infighting, through the shutdown of the mines, and through the permanent economic crisis and vast overcrowding, the rethans continue to remain in and return to their family homes on rethe.
rethan society is stratified, literally. rethan habitats are "pits", large shafts sunk into solid rock at the planet's surface that may be up to a thousand feet wide open in the center and that can reach down several thousand feet. the pits are capped with a steel framework inset with thick glass panels to retain air pressure at sustainable levels in the pit. the shaft is lined with living spaces, almost always family apartments, set into the solid rock and facing out towards the wide walkways circling the open shaft. successful upper class famlies live in the upper tiers, middle in the middle, while city life support infrastructure, the lowest class of families, and lone individuals, are at the very bottom. cities consist of huge collections of these habitation pits, along with pits devoted to space port, agricultural, commercial, manufacturing, academic, civic, and communal activities, all linked together by tens of thousands of foot, slope-rail carriage, and (in "high-class" tiers) grav-driven carriage tunnels at most levels, in addition to endless elevators and stairs between tiers. most of the upper level tier stairs and transport passages are documented and can be isolated at each end with iris valves, but many of those in the lower tiers are not. in addition the entire planet is perforated by quite literally millions of mine pits, shafts, passages, communication tunnels, played out ore veins, and other diggings, many of them connected to the cities and transportation tubes between cities. in addition new pits and new transportation tunnels are always being dug, and some few mines remain in operation, continually adding to the planet's porosity and sometimes causing deep mine flooding when the world's underground seas are encountered accidentally.
artificial gravity is maintained in all family dwellings to encourage normal human physical development, but the walkways, passages, and pit centers are unmodified and have nothing but the planet's own gravity. lighting is common and bright in the upper tiers, becoming a bit dimmer and more intermittent towards the lower tiers. power is provided mostly by vast solar panel farms on the surface and supplemented as necessary by cold fusion power plants leased from outside companies.
marriages are often arranged according to family traditions - oddly, men and women maintain separate traditions. while women on rethe are considered free and equal citizens they almost always marry young and almost never work outside of their homes. men who are not at work usually are with their families almost non-stop. "going out" usually means going out with the family to communal activities, and despite their troglodyte existence rethan cities are filled with civic and communal activities. the children seem slightly more independent of their families than the adults and large groups of them hurtle through the tunnels and walkways playing their games and going places.
one rethan norm that many outsiders find disturbing is their practice of lining the walls of their habitations with small statues, plaques, and urns with the ashes of their ancestors. ask a rethan about any of these displays and he can tell you all about that ancestor in sometimes unnerving detail. another rethan norm that many outsiders find entrancing is their practice of singing in their pit wells. they will line the walkways of their pits, any number from a few to literally tens of thousands at a time, singing ancient harmonies that everyone knows by heart and sometimes trying out new ones. rethans tend to maintain these two practices whereever they go.
rethe must import most of what it needs. with their mineral veins played out and lacking the technology to build starships on their own, rethe has no natural resources other than it's own people, their physical and technical labor, so this is what they sell and export. millions of rethans serve in extra-planetary corporations, the merchant marine, and the imperial forces, remitting their pay back home. despite their family ties rethe routinely sends pioneer colonists to worlds that request them, as many as and often more than are requested. if a mercenary company can supply the transportation then rethans can sign up for mercenary work by the tens of thousands. and when the imperium needs to raise an army, literally ten million rethans can sign up in one day. except for the colonists most rethans return home, bringing their expertise and skills with them.
in addition to their people themselves, rethe sells manufacturing labor. vast trains of ships bring raw materials to rethe and turn around with manufactured good for sale elsewhere. treece and enope are unable to compete with rethe in manufacturing and are bypassed on the trade routes, and despite their huge technological advantage even feri and zivije are hard-pressed to keep their costs below that of rethe industrial labor and transportation. in fact feri does some of it's space-going vessel production on rethe. bartering between rethe and inthe in foodstuffs for manufactured goods is one of the most regular and profitable trade runs in the regina subsector.
rethe has several atypical resources. for one, it has plenty of space on its surface for large-scale hazardous testing accompanied by large-scale personnel support and non-wilderness living for the testers. many corporations, and sometimes the imperium, conduct long-term testing of hazardous products at rethe. for another, rethe is able to engage in hazardous materials manufacturing without having to worry excessively about industrial pollution or biosphere contamination. such workspace is surprisingly rare, and rethe can charge handsomely for these priviledges. it does.
one less-mentioned and less-remarked-upon rethan export is teams. the close living and close family ties of rethe often produce groups, sometimes very large groups, of men and sometimes of women, whose families have known each other for generations and who know each other very deeply from childhood, and who thus make excellent teams of whatever training and purpose. some of these teams achieve great fame, but most are covert, and some are outright secret.